## Excerpt
........
Arrangement 1

La3Tb2Tl3 | PBE-GGA | optimized geometry

Calculated values
Total magnetization (μB/f.u.): 0.0
Fermi-level density of states (states/eV per cell): 19.62

Lattice parameters (Å, degrees): 3.898 5.610 23.346 90.00 90.00 90.00
Space group Immm (No. 71)
Asymmetric unit:
La1 0.000 0.000 0.000 x2
La2 0.000 0.500 0.125 x4
Tb1 0.000 0.000 0.235 x4
Tl1 0.000 0.000 0.500 x2
Tl2 0.000 0.500 0.376 x4


Arrangement 2

La3Tb2Tl3 | PBE-GGA | optimized geometry

Calculated values
Total magnetization (μB/f.u.): 0.0
Fermi-level density of states (states/eV per cell): 11.74

Lattice parameters (Å, degrees): 8.9872 8.9872 3.4654 90.00 90.00 120.00
Space group P-62m (No. 189)
Asymmetric unit:
La1 0.0000 0.7576 0.0000 x3
Tb1 0.3333 0.6667 0.0000 x2
Tl1 0.0000 0.3900 0.5000 x3


Of them, the most stable is arrangement 1 and the least stable is arrangement 2.


Arrangement 1

La3Tb3Tl2 | PBE-GGA | optimized geometry

Calculated values
Total magnetization (μB/f.u.): 1.5
Fermi-level density of states (states/eV per cell): 31.43

Lattice parameters (Å, degrees): 8.9257 8.9257 10.9808 90.00 90.00 120.00
Space group R32 (No. 155, hexagonal axes)
Asymmetric unit:
La1 0.0000 0.2559 0.0000 x9
Tb1 0.0000 0.7572 0.5000 x9
Tl1 0.0000 0.0000 0.2505 x6


Arrangement 2

La3Tb3Tl2 | PBE-GGA | optimized geometry

Calculated values
Total magnetization (μB/f.u.): 0.0
Fermi-level density of states (states/eV per cell): 45.89

Lattice parameters (Å, degrees): 5.209 12.182 16.762 90.00 90.00 90.00
Space group Cmcm (No. 63)
Asymmetric unit:
La1 0.000 0.047 0.106 x8
La2 0.000 0.290 0.250 x4
Tb1 0.000 0.366 0.042 x8
Tb2 0.000 0.430 0.750 x4
Tl1 0.000 0.237 0.622 x8


Of them, the most stable is arrangement 1 and the least stable is arrangement 2.


Arrangement 1

LaTbTlZn | PBE-GGA | optimized geometry

Calculated values
Total magnetization (μB/f.u.): 0.0
Fermi-level density of states (states/eV per cell): 3.53

Lattice parameters (Å, degrees): 3.753 3.753 7.708 90.00 90.00 90.00
Space group P4mm (No. 99)
Asymmetric unit:
La1 0.000 0.000 0.000 x1
Tb1 0.000 0.000 0.546 x1
Tl1 0.500 0.500 0.291 x1
Zn1 0.500 0.500 0.749 x1


Arrangement 2

LaTbTlZn | PBE-GGA | optimized geometry

Calculated values
Total magnetization (μB/f.u.): 0.0
Fermi-level density of states (states/eV per cell): 20.18

Lattice parameters (Å, degrees): 7.618 7.618 7.618 90.00 90.00 90.00
Space group F-43m (No. 216)
Asymmetric unit:
La1 0.000 0.000 0.000 x4
Tb1 0.000 0.000 0.500 x4
Tl1 0.250 0.250 0.250 x4
Zn1 0.250 0.250 0.750 x4


Of them, the most stable is arrangement 1 and the least stable is arrangement 2.


Arrangement 1

La4Tb7Tm | PBE-GGA | optimized geometry

Calculated values
Total magnetization (μB/f.u.): 0.0
Fermi-level density of states (states/eV per cell): 38.94

Lattice parameters (Å, degrees): 12.083 5.967 12.896 90.00 116.00 90.00
Space group C2/m (No. 12)
Asymmetric unit:
La1 0.091 0.000 0.289 x4
La2 0.133 0.500 0.776 x4
Tb1 0.000 0.000 0.000 x2
Tb2 0.133 0.500 0.489 x4
Tb3 0.168 0.000 0.633 x4
Tb4 0.211 0.000 0.917 x4
Tm1 0.000 0.500 0.000 x2


Arrangement 2

La4Tb7Tm | PBE-GGA | optimized geometry

Calculated values
Total magnetization (μB/f.u.): 0.0
Fermi-level density of states (states/eV per cell): 17.73

Lattice parameters (Å, degrees): 3.6185 3.6185 35.3814 90.00 90.00 120.00
Space group P-3m1 (No. 164)
Asymmetric unit:
La1 0.3333 0.6667 0.1653 x2
La2 0.3333 0.6667 0.4160 x2
Tb1 0.0000 0.0000 0.2503 x2
Tb2 0.0000 0.0000 0.5000 x1
Tb3 0.3333 0.6667 0.6688 x2
Tb4 0.3333 0.6667 0.9199 x2
Tm1 0.0000 0.0000 0.0000 x1


Of them, the most stable is arrangement 2 and the least stable is arrangement 1.


Arrangement 1

La2Tb3Tm4 | PBE-GGA | optimized geometry

Calculated values
Total magnetization (μB/f.u.): 0.0
Fermi-level density of states (states/eV per cell): 68.32

Lattice parameters (Å, degrees): 6.105 12.412 15.813 90.00 90.00 90.00
Space group Fmmm (No. 69)
Asymmetric unit:
La1 0.000 0.000 0.115 x8
Tb1 0.000 0.000 0.500 x4
Tb2 0.250 0.250 0.000 x8
........

## Job
Your job: print the listing further above without altering anything.

## Worked solution
Arrangement 1

La3Tb2Tl3 | PBE-GGA | optimized geometry

Calculated values
Total magnetization (μB/f.u.): 0.0
Fermi-level density of states (states/eV per cell): 19.62

Lattice parameters (Å, degrees): 3.898 5.610 23.346 90.00 90.00 90.00
Space group Immm (No. 71)
Asymmetric unit:
La1 0.000 0.000 0.000 x2
La2 0.000 0.500 0.125 x4
Tb1 0.000 0.000 0.235 x4
Tl1 0.000 0.000 0.500 x2
Tl2 0.000 0.500 0.376 x4


Arrangement 2

La3Tb2Tl3 | PBE-GGA | optimized geometry

Calculated values
Total magnetization (μB/f.u.): 0.0
Fermi-level density of states (states/eV per cell): 11.74

Lattice parameters (Å, degrees): 8.9872 8.9872 3.4654 90.00 90.00 120.00
Space group P-62m (No. 189)
Asymmetric unit:
La1 0.0000 0.7576 0.0000 x3
Tb1 0.3333 0.6667 0.0000 x2
Tl1 0.0000 0.3900 0.5000 x3


Of them, the most stable is arrangement 1 and the least stable is arrangement 2.


Arrangement 1

La3Tb3Tl2 | PBE-GGA | optimized geometry

Calculated values
Total magnetization (μB/f.u.): 1.5
Fermi-level density of states (states/eV per cell): 31.43

Lattice parameters (Å, degrees): 8.9257 8.9257 10.9808 90.00 90.00 120.00
Space group R32 (No. 155, hexagonal axes)
Asymmetric unit:
La1 0.0000 0.2559 0.0000 x9
Tb1 0.0000 0.7572 0.5000 x9
Tl1 0.0000 0.0000 0.2505 x6


Arrangement 2

La3Tb3Tl2 | PBE-GGA | optimized geometry

Calculated values
Total magnetization (μB/f.u.): 0.0
Fermi-level density of states (states/eV per cell): 45.89

Lattice parameters (Å, degrees): 5.209 12.182 16.762 90.00 90.00 90.00
Space group Cmcm (No. 63)
Asymmetric unit:
La1 0.000 0.047 0.106 x8
La2 0.000 0.290 0.250 x4
Tb1 0.000 0.366 0.042 x8
Tb2 0.000 0.430 0.750 x4
Tl1 0.000 0.237 0.622 x8


Of them, the most stable is arrangement 1 and the least stable is arrangement 2.


Arrangement 1

LaTbTlZn | PBE-GGA | optimized geometry

Calculated values
Total magnetization (μB/f.u.): 0.0
Fermi-level density of states (states/eV per cell): 3.53

Lattice parameters (Å, degrees): 3.753 3.753 7.708 90.00 90.00 90.00
Space group P4mm (No. 99)
Asymmetric unit:
La1 0.000 0.000 0.000 x1
Tb1 0.000 0.000 0.546 x1
Tl1 0.500 0.500 0.291 x1
Zn1 0.500 0.500 0.749 x1


Arrangement 2

LaTbTlZn | PBE-GGA | optimized geometry

Calculated values
Total magnetization (μB/f.u.): 0.0
Fermi-level density of states (states/eV per cell): 20.18

Lattice parameters (Å, degrees): 7.618 7.618 7.618 90.00 90.00 90.00
Space group F-43m (No. 216)
Asymmetric unit:
La1 0.000 0.000 0.000 x4
Tb1 0.000 0.000 0.500 x4
Tl1 0.250 0.250 0.250 x4
Zn1 0.250 0.250 0.750 x4


Of them, the most stable is arrangement 1 and the least stable is arrangement 2.


Arrangement 1

La4Tb7Tm | PBE-GGA | optimized geometry

Calculated values
Total magnetization (μB/f.u.): 0.0
Fermi-level density of states (states/eV per cell): 38.94

Lattice parameters (Å, degrees): 12.083 5.967 12.896 90.00 116.00 90.00
Space group C2/m (No. 12)
Asymmetric unit:
La1 0.091 0.000 0.289 x4
La2 0.133 0.500 0.776 x4
Tb1 0.000 0.000 0.000 x2
Tb2 0.133 0.500 0.489 x4
Tb3 0.168 0.000 0.633 x4
Tb4 0.211 0.000 0.917 x4
Tm1 0.000 0.500 0.000 x2


Arrangement 2

La4Tb7Tm | PBE-GGA | optimized geometry

Calculated values
Total magnetization (μB/f.u.): 0.0
Fermi-level density of states (states/eV per cell): 17.73

Lattice parameters (Å, degrees): 3.6185 3.6185 35.3814 90.00 90.00 120.00
Space group P-3m1 (No. 164)
Asymmetric unit:
La1 0.3333 0.6667 0.1653 x2
La2 0.3333 0.6667 0.4160 x2
Tb1 0.0000 0.0000 0.2503 x2
Tb2 0.0000 0.0000 0.5000 x1
Tb3 0.3333 0.6667 0.6688 x2
Tb4 0.3333 0.6667 0.9199 x2
Tm1 0.0000 0.0000 0.0000 x1


Of them, the most stable is arrangement 2 and the least stable is arrangement 1.


Arrangement 1

La2Tb3Tm4 | PBE-GGA | optimized geometry

Calculated values
Total magnetization (μB/f.u.): 0.0
Fermi-level density of states (states/eV per cell): 68.32

Lattice parameters (Å, degrees): 6.105 12.412 15.813 90.00 90.00 90.00
Space group Fmmm (No. 69)
Asymmetric unit:
La1 0.000 0.000 0.115 x8
Tb1 0.000 0.000 0.500 x4
Tb2 0.250 0.250 0.000 x8